┌──
4
Lattice="-4.230 8.772 3.143 -6.974 7.239 1.915 -5.954 6.602 5.068" Properties=species:S:1:pos:R:3 comment="SrTa2In | Alexandria | PBE | relaxed" magnetic_moment_mub_per_cell=0.00 delta_e_f_ev_per_atom=0.519 pbc="T T T"
Ta -16.903 22.276 9.975
Ta -4.389 5.785 2.590
Sr -12.845 16.928 7.580
In -8.759 11.543 5.169
└──
Give back only the lines above with the word "Lattice" in them.
Lattice="-4.230 8.772 3.143 -6.974 7.239 1.915 -5.954 6.602 5.068" Properties=species:S:1:pos:R:3 comment="SrTa2In | Alexandria | PBE | relaxed" magnetic_moment_mub_per_cell=0.00 delta_e_f_ev_per_atom=0.519 pbc="T T T"